Meeting Notes for December 13, 2010 8:05 – 9:10
Present: Barry, Kathie, Marylee, Pat & Dave
We reviewed the strategic plan and accepted an amended version:
Our Core Purpose: Facilitating life transitions for at-risk and vulnerable youth
Our Core Values: Unconditional Love, Hope, Restoration, Compassion, Faith
Long-Term Goal (2015)
Clearwater Ministries is recognized by at-risk and vulnerable youth, and respected by the community, as a safe place to get help.
Vivid Description for long-term goal:
• The work of Clearwater Ministries is focused on the whole person – a holistic approach to addressing the needs of at-risk and vulnerable youth in transition. Many of those transitions have roots in housing.
• Clearwater Ministries will be an effective partner working with other agencies to cover the continuum of care for at-risk and vulnerable youth.
• The specific services of Clearwater Ministries will ebb and flow, but overall the outcomes will be enduring – healing, independence and stability.
Annual Operating Plan (FY 2011-2012)
NOW Goal
• Finalize federal tax exempt 501(c)3 status.
6-12 Months
•Develop the Governance Board
o Use the Foraker Board Recruitment Matrix to determine board needs
o Develop Board Job Descriptions for board members and officers
o Finalize a meeting schedule (quarterly? Bi-monthly? Monthly?)
•Finalize the name for the current Clearwater Ministries
o A name that more accurately reflects the Core Purpose and Core Values
•Board to complete Foraker’s “Basic Board Roles and Responsibilities” Training
•Scholarship Program I solidified, and a plan for implementation developed
o Includes describing Core Purpose and Core Values of the program, as well as determining a long-term goal, and building a skeleton of procedures for submission, review and determination of eligibility.
12-18 Months
• Put together a white paper on “The State of At-Risk and Vulnerable Youth in Fairbanks,” as a mechanism for describing what is already going on already for at-risk and vulnerable youth.
o As a way to help guide the services provided by
• Develop a Business Plan for Sustainability
December 13th minutes continued:
• We discussed working on the 3 bullets under ‘Develop the Governance Board’ for the next year.
• We decided to begin meeting bi-monthly: Jan., March, May, July, Sept., & Nov.
• We discussed a wide variety of meeting times & really the same time is not convenient for anyone. The result? Meet the second TUESDAY of every other month for the necessary amount of time.
• The federal tax exempt pkt. was sent in and received, no word back on it yet.
Meeting Notes for November 1, 2010 9:00 – 12:00
All board members were present + guest, Mike Walsh, Foraker
We spent the morning working through a strategic planning session focused on what the ministry would be for Clearwater, apart from the counseling business.
Meeting Notes for September 29, 2010 12:00 – 12:10
Members Present: Marylee, Patrick & Barry & Dave
A short meeting was called for the purpose of passing a Conflict of Interest Policy. Since a quorum existed, the meeting continued. The Conflict of Interest Policy was discussed. A motion was made and passed, Barry/Patrick.
Meeting Notes for September 21, 2010 9:00 – 9:15 a.m.
Members Present: Dave Bates, Lyle Gresehover, Patrick Endres, Barry Berner, Marylee Bates,
The Board met for the purpose of passing the Bylaws. Patrick made a motion that we accept the bylaws as written, Barry provided the second. The motion passed unanimously. Meeting was adjourned.
Meeting Notes for July 19, 2010 8:00-9:00 a.m.
Members Present: Dave Bates, Lyle Gresehover, Patrick Endres, Barry Berner, Marylee Bates, Kathie Gettinger,
Financial Report:
• We have $30,000. + in checking and savings.
• Kathie will transfer $15,000. into “other savings” for future use
• Keep $10,000.00 in checking for operations
• Look into 60 day or 90 day CD’s, etc.
Director’s Report:
• New Place: paying $750.00/month rent BUT we need to ask about signs
• Corina is on and has 1 client a week but is observing some of Dave’s
• They are going to write a proposal to OCS & Access Alaska for discount therapy to get C. some clients. She cleans for 1 hour and is paid $20.00.
• They had their first Bariatric client – using 3 different assessments to determine the eligibility and potential successfulness of the operation. Corina wrote the report and did an excellent job. C. will work with these clients in the future.
• Website – check in with John Bourne. Look at Willow Physical Therapy’s site and Lorrie Kleins. Start developing ideas for the website.
• Taxes: we realized we never filed the proper paperwork to be a federally recognized nonprofit.
• Foraker: 8:00 is scheduled time, later time is requested. Marylee will look into it, format, thoughts in preparation of, timing, etc.
Meeting Notes for April 24th, 2010 10-12:00
• Members Present:Dave Bates, Lyle Gresehover, Patrick Endres, Barry Berner, Marylee Bates, Meeting began 10:05
Financial Report:
• 2009 income for Jan. – March = $27,900.00
• 2010 income for Jan – March = $38,700.00
• Bringing in more, but also giving away more
• We have a total of $20,000.00 in the savings account.
• Dave shared about taking on Corina Dick. It was suggested that he research a few other agencies and see what kind of contracts they have with their counselors. Barry suggested we ask Corina if she is able to support our youth focus goals. Dave has a meeting next week with her and will talk about these things.
• Rent: It was decided that we look for a place that meets our client’s needs:
– in town -out of the church – handicapped accessible
– a comfortable environment – 3 rooms + reception
• Pat and Berry agreed to help Dave look at possibilities as they are found.
• Website: YES! Dave shared that he also liked the idea of having a website that was a resource for clients. Pat suggested WordPress. Marylee referenced Heather Taggard’s name and agreed to link Heather and Pat up for further questions.
• we agreed that this need is a priority and should be looked into immediately.
• Foraker: It was agreed that late October/early November – the board would have a planning & goal setting session with Foraker’s Mike Walsh. In September, we’ll complete a membership application.
• 936 9th House Tour Recap: After sharing differing thoughts and opinions on 936, it was decided that the house idea needs to wait until after we set our direction and goals.
• Miscellaneous:
• Marylee has been asked to chair a youth subcommittee for the Fairbanks Homeless Coalition. (The youth focus group will mesh with this group)
• Sarah Finnell & Katie Robb, from FCA’s Street Outreach and Advocacy Program invited us to Alice & the Underground play, May 7,8, 14, 15th at 7:00 p.m. It is a play written by their Vista, Cassidy, and performed by some of the kids and other friends of SOAP.
• Thank you notes were signed for Vince, Cathie R. and Sarah F.
• The recent Covenant House Report was shared.
• Meetings: We will start meeting on Monday mornings 8:00 a.m. Tentatively, the next meetings are set for:
• July 19th,
• November 1
• Meeting adjourned at 12:05, notes by Marylee
Meeting Notes for December 4, 2009 4:30
• Members Present: Dave Bates, Kathie Gettinger, Lyle Gresehover, Barry Berner, Marylee Bates, Patrick Endres
Molecular data that have nothing to do with the page:
+++
(1)
This record from the Open Molecules 2025 dataset describes a 3-piece molecular cluster, C17H45N3O5PS overall. The level of theory is ωB97M-V with the def2-TZVPD basis set.

Structure (XYZ):
```
72
Properties=species:S:1:pos:R:3
C 1.951 3.902 0.803
C 1.676 3.017 -0.420
O 1.752 3.738 -1.648
C 0.281 2.392 -0.443
O 0.340 0.931 -0.529
P 0.226 -0.023 0.700
C 0.313 0.818 2.264
C -1.002 1.532 2.654
C -0.782 2.789 3.522
S -1.691 4.252 2.975
C 1.440 -1.328 0.563
C 2.730 -0.970 -0.176
O 3.154 -2.210 -0.732
C 3.802 -0.401 0.754
N 3.966 -1.235 1.946
H 1.098 3.927 1.481
H 2.792 3.515 1.378
H 2.186 4.919 0.505
H 2.404 2.202 -0.471
H 2.472 4.366 -1.609
H -0.351 2.707 0.382
H -0.198 2.712 -1.365
H -1.029 -0.625 0.644
H 0.517 0.014 2.977
H 1.177 1.485 2.294
H -1.624 0.826 3.199
H -1.567 1.822 1.767
H -1.122 2.609 4.538
H 0.277 3.038 3.577
H -0.870 4.589 1.977
H 1.681 -1.654 1.576
H 0.963 -2.158 0.042
H 2.552 -0.260 -0.986
H 3.730 -2.039 -1.477
H 4.732 -0.406 0.186
H 3.605 0.651 0.997
H 3.490 -0.831 2.741
H 4.939 -1.285 2.210
C -3.611 1.843 -5.662
C -2.610 1.939 -4.516
C -3.225 2.414 -3.193
O -3.498 3.794 -3.121
C -4.730 4.206 -3.690
N -1.474 2.760 -4.941
H -3.851 2.826 -6.067
H -3.190 1.255 -6.475
H -4.540 1.368 -5.342
H -2.228 0.930 -4.328
H -2.493 2.228 -2.397
H -4.125 1.834 -2.948
H -5.507 3.451 -3.539
H -4.636 4.413 -4.758
H -5.029 5.123 -3.186
H -0.739 2.732 -4.241
H -1.774 3.730 -4.970
C 0.128 -5.058 3.578
C 0.707 -4.477 2.293
C 0.087 -5.052 1.012
O 0.524 -6.344 0.679
C -0.159 -7.412 1.315
N 2.165 -4.593 2.326
H 0.521 -6.055 3.775
H 0.399 -4.434 4.429
H -0.961 -5.122 3.534
H 0.474 -3.402 2.291
H 0.396 -4.422 0.170
H -1.012 -5.022 1.062
H -1.219 -7.178 1.450
H 0.282 -7.658 2.283
H -0.071 -8.282 0.667
H 2.580 -4.098 1.540
H 2.407 -5.568 2.175
```

Computed properties:
Electronic energy = -1954.43253 hartree
Highest occupied orbital energy = -11.101 eV
Charge = +1
M = 434.60 g mol⁻¹
E_LUMO = -0.094 Eh
HOMO-LUMO gap = 8.5 eV



(2)
This record from the Open Molecules 2025 dataset describes one molecule with the formula C5H11NO4 in a non-equilibrium geometry. The level of theory is ωB97M-V with the def2-TZVPD basis set.

Structure (XYZ):
```
21
Properties=species:S:1:pos:R:3
C 1.577 1.408 0.159
C 0.635 0.215 -0.070
C 0.936 -0.428 -1.354
C 0.930 -0.861 1.066
O -0.025 -1.876 1.016
C -0.819 0.712 0.178
O -1.117 1.651 0.782
N -2.117 -0.454 -0.162
O -2.361 -0.368 -1.520
O -3.125 0.167 0.578
H 1.754 2.056 -0.639
H 2.525 1.001 0.530
H 1.126 2.088 0.825
H 1.932 -0.896 -1.366
H 0.208 -1.169 -1.413
H 0.799 0.246 -2.190
H 1.177 -0.368 2.100
H 1.852 -1.443 0.952
H -0.742 -1.278 1.352
H -2.390 -1.294 -1.840
H -2.756 0.890 1.020
```

Computed properties:
Electronic energy = -552.64771 hartree
Highest occupied orbital energy = -9.175 eV
M = 149.15 g mol⁻¹
Energy relative to the best compared isomer or geometry (same formula, charge and spin) = 6.291 eV
E_LUMO = 0.018 Eh
SMILES = CC(C)(CO)C(=O)N(O)O
HOMO-LUMO gap = 9.7 eV



(3)
+++
• Meeting began 4:50 (Lyle!!!)
Financial Report :
• Month of August appeared to be low in income – due to bulk write offs from previous year.
• Arlene K., CPA, has provided assistance to Kathie and will help with 990- Easy form for filing taxes.
• Arlene K. reported to Kathie that after looking at the books and our account that Clearwater was in good shape and our situation was simple and straightforward.
• Dave’s salary is underpaid at this time, for about $10,500.00
Director’s Report:
• Work is brisk, best month, best week yet.
• Dave will try to be more proactive regarding talking to clients about payments.
• Dave did get relicensed – LPC – Licensed Professional Counselor
• Dave should be getting his supervisors license in the mail too.
• Inserted here: calculated molecules:
┌──
No. 1
76
Properties=species:S:1:pos:R:3:mulliken_charge:R:1 method="wB97M-V/def2-TZVPD" orbital_gap_ev=5.4024 e_tot_ev=-42932.2504 total_charge=+1
C 0.96182 -6.84744 -1.84556 -0.84
O 1.98763 -6.43169 -0.91137 -0.41
C 1.66580 -5.50711 0.03025 0.88
C 2.67816 -5.16318 0.96340 -0.94
C 2.41881 -4.24416 1.95749 0.18
C 1.13349 -3.63523 2.10464 0.28
C 0.86437 -2.64725 3.12655 -0.58
C -0.24032 -1.79149 3.02639 -0.42
C -0.52173 -0.76243 3.91656 -0.43
C -1.60481 0.15439 3.73482 0.60
C -1.68587 1.36597 4.48566 -0.46
C -2.72488 2.24969 4.31474 -0.74
C -3.77022 1.94649 3.40350 0.87
O -4.84747 2.77233 3.39962 -0.39
C -5.96826 2.40919 2.55706 -0.81
C -3.67657 0.78966 2.59004 -0.63
C -2.63214 -0.09537 2.78251 -0.75
C 0.11791 -4.05956 1.20340 -0.69
C 0.38036 -4.91951 0.14769 -0.87
H 1.43920 -7.64207 -2.41991 0.24
H 0.07442 -7.23345 -1.32393 0.36
H 0.67331 -6.01984 -2.50904 0.35
H 3.65492 -5.63535 0.85452 0.46
H 3.22302 -3.96394 2.64476 0.27
H 1.74402 -2.29303 3.68588 0.99
H -0.86945 -1.87671 2.13361 0.51
H 0.14587 -0.59591 4.76421 0.37
H -0.89070 1.59047 5.19850 0.43
H -2.79297 3.17659 4.88083 0.44
H -6.72133 3.16473 2.77798 0.25
H -5.68847 2.44807 1.49474 0.34
H -6.34992 1.40711 2.80198 0.36
H -4.44583 0.57864 1.84193 0.40
H -2.61219 -1.00353 2.18016 0.41
H -0.90353 -3.69365 1.32463 0.51
H -0.39918 -5.15412 -0.58516 0.41
C 2.65953 -2.91393 7.81563 -1.12
N 1.36240 -3.21992 7.25473 0.31
C 1.18034 -3.85280 5.96602 -0.60
C 1.73107 -5.31225 5.83130 2.01
C 1.45131 -6.11404 7.09824 -1.67
C 3.22301 -5.20867 5.54148 -1.48
C 1.02093 -5.98850 4.66887 -2.00
N -0.21506 -3.70832 5.73729 0.37
C -0.90488 -2.96574 6.74695 0.35
C -1.95843 -3.74891 7.55629 -1.17
C -3.15316 -4.23314 6.76829 0.37
C -4.04954 -3.30924 6.21571 -0.26
C -5.17271 -3.75796 5.51070 -0.67
C -5.39868 -5.13198 5.34998 -0.45
C -4.50212 -6.05666 5.90265 -0.69
C -3.39567 -5.60602 6.62760 -0.26
C 0.23148 -2.55791 7.67816 0.26
O 0.14793 -1.78384 8.62563 -0.72
H 2.53926 -2.14483 8.58454 0.43
H 3.09971 -3.80370 8.28031 0.30
H 3.34982 -2.54678 7.04481 0.34
H 1.70914 -3.25936 5.20318 -0.06
H 0.37063 -6.20044 7.27479 0.19
H 1.84972 -7.13063 6.96879 0.46
H 1.92444 -5.67302 7.98359 0.25
H 3.40025 -4.57574 4.65989 0.22
H 3.77075 -4.78285 6.39066 0.29
H 3.63574 -6.20376 5.32785 0.41
H 1.15050 -5.42148 3.73975 0.43
H 1.44589 -6.98964 4.50738 0.53
H -0.05209 -6.10284 4.86827 0.25
H -0.61093 -3.79723 4.81285 0.47
H -1.36678 -2.05882 6.31827 0.15
H -1.47354 -4.60921 8.05093 0.46
H -2.30003 -3.05600 8.34709 0.41
H -3.86724 -2.24074 6.35972 0.44
H -5.87555 -3.03051 5.09844 0.39
H -6.27021 -5.48124 4.79217 0.38
H -4.67195 -7.12893 5.78218 0.38
H -2.70326 -6.31342 7.09115 0.34

No. 2
8
Properties=species:S:1:pos:R:3:mulliken_charge:R:1 method="wB97M-V/def2-TZVPD" orbital_gap_ev="9.3319 / 8.9454" e_tot_ev=-5113.4911 relative_energy_kcal_mol=126.12
C 0.84645 -0.33261 -0.22064 -0.16
C -0.85428 0.42906 0.12764 0.04
N 0.01549 0.57892 -0.90648 -0.45
N -0.03786 -0.66839 0.80027 -0.44
H 0.94005 -1.29061 -0.85919 0.21
└──
• He is also waiting for certification from the American Association of Christian Sex Therapists.
Other items:
• Rent Increase: Clearwater received an updated rental contract from the DOH finance committee. Rent is currently 500.00 but DOH is asking for $650.00 starting in January 2010. The board agreed that Dave needed to decide whether this space was working or not; and 2) Clearwater needs to inform DOH finance committee exactly what we are about and why we exist. Dave agreed to draft a letter and send it to Pat, as president. As a board, we thought it should come from him.
• Ministry Proposal: the board gave permission for the focus group to explore the possibilities.
• Youth Outreach – timeline: Lyle suggested and it was agreed – that Sarah Finnell, FCA, would come and talk to the board at a meeting primarily focused on learning more about the street youth population and their needs.
Next meeting: Monday, February 8, 2010. Focus: Street Youth
Meeting was done at 6:20 p.m.